Entry 1:
The following is a PBE calculation of an optimized crystal structure of ZnB2P, from Alexandria.

Cell lengths 3.920, 3.920, 3.920 Å; angles 60.00, 60.00, 60.00 degrees
Fractional coordinates of all 4 atoms:
P1 0.000 0.000 0.000
Zn1 0.500 0.500 0.500
B1 0.250 0.250 0.250
B2 0.750 0.750 0.750

Results
* formation enthalpy at 0 K: 1.399 eV/atom
* total magnetic moment: 0.000 μB per atom
* total energy: -14.44 eV for the cell shown
* offset from the most stable computed form: 0.903 eV per atom

=====

Entry 2:
The following is a PBE calculation of an optimized crystal structure of ZrBP3, from Alexandria.

Cell lengths 5.012, 5.012, 5.012 Å; angles 90.00, 90.00, 90.00 degrees
Fractional coordinates of all 5 atoms:
P1 0.000 0.500 0.000
P2 0.000 0.000 0.500
P3 0.500 0.000 0.000
B1 0.500 0.500 0.500
Zr1 0.000 0.000 0.000

Results
* formation enthalpy at 0 K: 1.323 eV/atom
* total magnetic moment: 0.000 μB per atom
* total energy: -24.84 eV for the cell shown
* offset from the most stable computed form: 0.989 eV per atom

=====

Entry 3:
The following is a PBE calculation of an optimized crystal structure of ZrBP3, from Alexandria.

Cell lengths 4.201, 4.201, 4.201 Å; angles 90.00, 90.00, 90.00 degrees
Fractional coordinates of all 5 atoms:
P1 0.000 0.500 0.000
P2 0.000 0.000 0.500
P3 0.500 0.000 0.000
B1 0.000 0.000 0.000
Zr1 0.500 0.500 0.500

Results
* formation enthalpy at 0 K: 0.334 eV/atom
* total magnetic moment: 0.000 μB per atom
* total energy: -29.79 eV for the cell shown
* offset from the most stable computed form: 0.000 eV per atom

=====

Entry 4:
The following is a PBE calculation of an optimized crystal structure of PaB3, from Alexandria.

Cell lengths 4.368, 4.368, 9.472 Å; angles 90.04, 103.30, 119.98 degrees
Fractional coordinates of all 12 atoms:
Pa1 0.240 0.119 0.359
Pa2 0.760 0.881 0.641
Pa3 0.000 0.000 0.000
B1 0.577 0.973 0.181
B2 0.208 0.604 0.181
B3 0.578 0.604 0.182
B4 0.000 0.500 0.500
B5 0.188 0.595 0.783
B6 0.812 0.405 0.217
B7 0.792 0.396 0.819
B8 0.423 0.027 0.819
B9 0.422 0.396 0.818

Results
* formation enthalpy at 0 K: -0.154 eV/atom
* total magnetic moment: 0.057 μB per atom
* total energy: -90.44 eV for the cell shown
* offset from the most stable computed form: 0.065 eV per atom

=====

Density in g/cm3, matching the order above: 4.6 2.6 4.4 8.7

=====

[1]
The following is a GGA-PBE calculation of Er2Cu4Ni3 after structural relaxation, from the Alexandria database.

Cell: 4.9354 4.9354 6.7295 Å, 100.27 100.27 120.91°
Atoms (fractional coordinates):
Cu  0.9994  0.6636  0.6631
Cu  0.6636  0.9994  0.6631
Cu  0.0006  0.3364  0.3369
Cu  0.3364  0.0006  0.3369
Er  0.3700  0.3700  0.7399
Er  0.6300  0.6300  0.2601
Ni  0.5000  0.0000  0.0000
Ni  0.0000  0.5000  0.0000
Ni  0.0000  0.0000  0.0000

Calculated values
space-group type: Fmmm
DOS(E_F): 4.52 states/eV per cell

---

[2]
The following is a GGA-PBE calculation of HoThScAg after structural relaxation, from the Alexandria database.

Cell: 3.5640 3.5640 8.0845 Å, 90.00 90.00 90.00°
Atoms (fractional coordinates):
Th  0.0000  0.0000  0.0841
Ag  0.0000  0.0000  0.5557
Ho  0.5000  0.5000  0.7871
Sc  0.5000  0.5000  0.3578

Calculated values
space-group type: P4mm
DOS(E_F): 4.54 states/eV per cell

---

[3]
The following is a GGA-PBE calculation of Nd6Si2Pd after structural relaxation, from the Alexandria database.

Cell: 6.3856 8.1509 10.0694 Å, 90.00 90.15 90.00°
Atoms (fractional coordinates):
Nd  0.3748  0.8173  0.4359
Nd  0.3630  0.5394  0.7368
Nd  0.1370  0.0394  0.7632
Nd  0.1252  0.3173  0.0641
Nd  0.1445  0.3352  0.4410
Nd  0.6445  0.1648  0.9410
Nd  0.8630  0.9606  0.2368
Nd  0.8555  0.6648  0.5590
Nd  0.3555  0.8352  0.0590
Nd  0.6370  0.4606  0.2632
Nd  0.6252  0.1827  0.5641
Nd  0.8748  0.6827  0.9359
Si  0.4210  0.1201  0.2509
Si  0.9210  0.3799  0.7509
Si  0.0790  0.6201  0.2491
Si  0.5790  0.8799  0.7491
Pd  0.5000  0.5000  0.0000
Pd  0.0000  0.0000  0.5000

Calculated values
E_form (uncorrected): -0.398 eV per atom

The reader should say how many lines of the material above hold the word "database", as a bare number.

3